Nirala Interviews of the Month

DavidTTM-1-2-590x393Nirala Interviews

In conversation with american poet DAVID B. AUSTELL

1. Prof. Deborah Landau of New York University has described you as ‘a new poet with seasoned soul… has a gift for narrative…”  How do you respond to this? Where do you think this gift comes from?

Ultimately, the creative process is a mystery. Much can be made of the various filters through which a poet produces his work (cultural, literary, religious, political), but at the final moment when the creation of the poem begins, when the words are arranged on the page, when a narrative takes off, then a mystery is present, something almost holy and strange, which makes the poem seem to appear ex nihilo, out of nothingness. Where does this mystery come from?  My own experience is that this comes as a direct result of a poet’s communing with God, with the numinous.

2. Your new book, Little Creek has the Vietnam War and other wars as the backdrop. How close were you to these wars? How did they affect your life and your writing?

The war in Viet Nam was a very divisive conflict for Americans, especially for those growing up in the 1960s. I was too young to be drafted into the military and deployed to Viet Nam, but many of my friends who were several years older did in fact serve during the conflict.  My own brother-in-law was a combat soldier during the Tet Offensive.  Little Creek focuses on a group of young men who were deployed to Viet Nam and who died there.  The poem is a way of honoring them.

3. Can you describe the genesis of your ambitious ongoing poem, Olympus Mons? What made you imagine the NASA conquest of Mons? What is your point in doing so? Why do you keep adding chapters to it every year?

I’ve been fascinated with the exploration of space since I was a child, and Mars (both as a destination for scientific research, and as a source of anxiety regarding first contact with alien life) has been a huge preoccupation of popular culture in the United States going back to the 1930s. “The Final Pitch on Olympus Mons” started out as a narrative about astronauts walking to the summit of this enormous volcano, but then quickly transformed into something else as the back-story began to emerge. For example, the concept of “final pitch” became more than a baseball “pitch” by which the astronauts retained their familiar home-connections with Earth, as well as their sanity.  Pitch (or tone) also referred to the “beacon” heard by the astronauts on the Martian surface; and finally the mountaineering “pitch,” a specific distance  over which the climbers ascended before stopping to rest as a group.

4. There is strong influence of your early life, especially childhood, on your work and great deal of your biographical detail forms the bedrock of your poetry in Little Creek. Can you elaborate on this?

I grew up in the southern part of the United States during the 1950s and 1960s, and the small-town culture of the South that I knew is rapidly fading away as the high-tide of globalization sweeps into every corner of the planet.  In part, my writings about childhood are an attempt to capture something of that more innocent time, before it disappears altogether.

5. Why do you write?

I work in order to relax.  In other words, the very precious hours I have during the week to work on the poems are calming and strengthening.

6. How does your new role as a poet impinge on your vocation as an administrator and educationist?

My professional life in the university provides amazing experiences which often serve as launch platforms for poems, for example my work in Belize which made its way into “Palm Sunday in Dangriga Town.” The greatest challenge is finding a balance point between professional life and artistic life.  I simply don’t have as many hours to write during the week as I wish I did!

7. There is a strong element of Asia, especially Hindu mythology, evident in your forthcoming pillow book, Garuda & Other Poems? Do you have any special Asian connection in your upbringing?

Growing up in the South, I did not have international opportunities when I was young.  When I left for university in 1972, I began meeting students from all over the world. Later I was able to teach international students in class, and then work for the students as an adviser to international students.  My fascination with Asian culture stems both from my work in International Education, and from my travels in Asia. Also I’m enthralled with the antiquity of Hinduism and the similarities that exist between Hinduism and Christianity.

8. Poet Yuyutsu Sharma has portrayed you as a poet with ‘a world belong heights.’ Recently, you also did a reading with him in New York City, entitled, Poetry and Heights. How does the issue of Heights connect both of you?

Yuyu Sharma’s poetry is rooted in religious philosophy (which permeates his work) and the powerful sense of place, mystical and physical, that exists in the Himalayas. This has had a huge resonance in my own writing.  I spent a great deal of time in the mountains of North Carolina (which compared to the Himalayas are hillocks!), and this instilled in me a sense of heights which is full of longing and mystery.  C.S. Lewis described going “further up and further in” to a greater reality of life beyond that which we currently live.  This stirs something very deep, like the skirl of the bagpipes far up in the highlands of North Carolina; and it filters through, as for example in “A Ghost Among Ghosts.”

+++
Entry 1:
PPdCl2O | PBE | relaxed

Summary:
The calculation puts the formation energy (no corrections) at 3.6 eV per formula unit. The value obtained for the density of states at the Fermi level is 3.9 states/eV per cell. Its total magnetic moment is 1.0 μB per cell. The symmetry is P4/mmm, No. 123. The value obtained for the excess energy over the best structure of this formula in the dataset is 311 meV/atom. The total energy comes out at -3.14 eV per atom. The value obtained for the calculated volume is 22.2 Å³ per atom.

a = 4.9097 Å, b = 4.9097 Å, c = 4.6036 Å
α = 90.00°, β = 90.00°, γ = 90.00°
With the nearest neighbours (Å) after each atom.
Element x y z (fractional)
P1 0.0000 0.0000 0.5000  2 Pd 2.30
Cl1 0.5000 0.0000 0.0000  2 Pd 2.45
Cl2 0.0000 0.5000 0.0000  2 Pd 2.45
O1 0.5000 0.5000 0.5000  8 Cl 3.37, 4 P 3.47
Pd1 0.0000 0.0000 0.0000  2 P 2.30, 4 Cl 2.45


Entry 2:
PPdCl2O | PBE | relaxed

Summary:
The calculation puts the formation energy (no corrections) at 2.0 eV per formula unit. The value obtained for the density of states at the Fermi level is 6.2 states/eV per cell. Its total magnetic moment is 1.2 μB per cell. The symmetry is P4/mmm, No. 123. The value obtained for the excess energy over the best structure of this formula in the dataset is 0 meV/atom. The total energy comes out at -3.45 eV per atom. The value obtained for the calculated volume is 19.9 Å³ per atom.

a = 5.4991 Å, b = 5.4991 Å, c = 3.2963 Å
α = 90.00°, β = 90.00°, γ = 90.00°
With the nearest neighbours (Å) after each atom.
Element x y z (fractional)
O1 0.0000 0.0000 0.0000  2 P 1.65
Pd1 0.5000 0.5000 0.5000  8 Cl 3.21, 2 Pd 3.30
Cl1 0.0000 0.5000 0.0000  2 O 2.75
Cl2 0.5000 0.0000 0.0000  2 O 2.75
P1 0.0000 0.0000 0.5000  2 O 1.65


Entry 3:
P2PdClO | PBE | relaxed

Summary:
The calculation puts the formation energy (no corrections) at 5.4 eV per formula unit. The value obtained for the density of states at the Fermi level is 5.1 states/eV per cell. Its total magnetic moment is 0.0 μB per cell. The symmetry is P4/mmm, No. 123. The value obtained for the excess energy over the best structure of this formula in the dataset is 625 meV/atom. The total energy comes out at -3.48 eV per atom. The value obtained for the calculated volume is 20.4 Å³ per atom.

a = 4.6389 Å, b = 4.6389 Å, c = 4.7427 Å
α = 90.00°, β = 90.00°, γ = 90.00°
With the nearest neighbours (Å) after each atom.
Element x y z (fractional)
P1 0.5000 0.0000 0.0000  2 Pd 2.32
P2 0.0000 0.5000 0.0000  2 Pd 2.32
O1 0.5000 0.5000 0.5000  4 Cl 3.28, 8 P 3.32
Cl1 0.0000 0.0000 0.5000  2 Pd 2.37
Pd1 0.0000 0.0000 0.0000  4 P 2.32, 2 Cl 2.37


Entry 4:
P2PdClO | PBE | relaxed

Summary:
+++

9. How do you look at contemporary poetry scene in the United States? Is there any tradition in American literature that you think you belong to? Any other writers from the rest of the world you wd like to mention?

In a general sense, the poetry scene in the United States is self-absorbed and inwardly focused. At its best, it is amazingly insightful and moving (as in Mark Strand’s wonderful verse).  What often seems lacking in American poetry is an awareness of the world, of cultures beyond those represented in a particular region of the United States.  Americans need to think more in terms of interacting in the world (something which has been difficult for people in the United States), and in terms of what it means to interact in the world in a non-harmful way. I would love to read more poets who are struggling with globalization, with culture-collision, with international coexistence in a static and fragile ecosystem.

10. As mentioned in your profile to Little Creek, your mother sent poetry to you all through your college with her letters and your father read Shakespeare and Coleridge to you as a child? How did this influence your writing patterns? Moreover, how do you view today’s reading and writing scene in a world of cyberspace where electronic devices like Kindle and IPod loom large over future of printed books?

My parents, especially my father, instilled in me a deep respect for literature. Certain writings were sacrosanct: the Holy Bible; the plays of William Shakespeare; the writings of the Romantic Poets. My mother taught me that a Southern gentleman must read three things: the Bible, Shakespeare, and The Pilgrim’s Progress (by John Bunyan).  I learned early on that the study of literature does not require speed-reading. In fact, it requires the opposite: a willingness to invest time, imagination, thoughtfulness in the printed word. Technology is changing and accelerating knowledge transfer to the point that gist becomes more important that a thing in its totality (for example an outline of David Copperfield as opposed to deep familiarity with the lengthy work in its entirety). To be specific, modern students spend a great deal of time in very fast knowledge acquisition, and less and less extended time with specific complete texts. As you can imagine, this does not bode well for the reading and re-reading required by poetry.  Also in the future, readers may be so used to Kindle that they are never exposed to the feel, the smell, the weight of a printed book.  What a loss!

11. Your poetry book has just appeared in the Nirala Series. How do you see this, your work finding a publisher and read so far away from your homeland?

Two things come to mind.  The first is that Little Creek being published by a company in India is nothing less than a miracle!  Secondly, however, it seems perfectly in keeping with globalization, that our world’s cultures and people are drawing closer together than ever in history, and that the arts are benefitting hugely from the interactions and interconnections occurring from globalization.

12. What are you writing now?

I have two projects which I’m currently working on. The first is a chapbook (pillow book) that Nirala Press will publish in 2012.  Nirala has asked me to focus further on the concept of heights, and this has become a very interesting project, and one which I hope readers will enjoy.  The other project is an extended series of poems focusing on the enigmatic character of St. Joseph of Arimathea.

13. What advice do you have for younger poets?

My advice to younger poets is the same as I’ve given to my students and to my own daughters: Never stop reading books!

–Suresh Kumar

for Nirala Blog,

Nepal Trilogy Launched

Her Excellency Verena Gräfin von Roedern, Ambassador of the Federal Republic of Germany addressing the audience

The Himalayan Times News, December 4, 2011

Book with good subject matter widens your perspective and contains the magical element.

The Nepal Trilogy -three volumes of books that contain photographic and poetic journey through the areas of Annapurna, Everest, Kelambu and Langtang give a similar feeling when you read them. And these books were you read them. And these book launched by Verena Grafin Von Roedern, Ambassador of Germany at the Nepal Tourism Board on December 4. The books have been already launched in European cities Frankfurt, New York, London and Paris earlier.

These books are a joint project of German Photographer Andreas Stimm and Nepali Poet Yuyutsu RD Sharma, which took 10 years to get completed. These books contain black and white panoramic photographs of the Himalayas and inhabitants of those areas taken by Stimm together with 63 poems by Sharma in two languages -English and German. Sharing about the benefits of their fusion works, Sharma expressed, “The fusion of photography and poetry has revived the soul of Nepal.“

At the event Sharma recited three of his poems from the books in English.
Meanwhile Dr. Manfred Treu, Professor of German at Bishwo Bhasa Campus, Stimm and his wife Cornelia Dewein recited those three poems in German Launching the books, Roedem expressed, “Stimm has captured not only the flora and fauna of those places but also the spirit of people by capturing their lifestyle, religion and culture where Sharma’s poem support the photographs and give them soul.“

Stimm, impressed by the Nepali people stated, “Whatever pain Nepali people face, they are always smiling and their welcoming behaviour and hospitality has really impressed me.“

The book has been published by Epsilonmedia, Germany and White Lotus Book Shop is its distributor in Nepal. -HNS

Yuyutsu and Stimm before the Launch at Nepal Tourism Board